# Contents
┌──
Below is an optimized crystal structure of Cr3C2, with properties calculated at the PBE level.

Results
calculated formation energy = -0.069 eV per atom
energy above the most stable polymorph in this dataset = 0.152 eV/f.u.
crystal system = orthorhombic
calculated total energy = -47.8 eV/f.u.

```
Cr3C2
1.0
1.4078 -4.6115 0.0000
1.4078 4.6115 0.0000
0.0000 0.0000 6.9167
Cr C
6 4
Direct
0.5989 0.4011 0.7500 Cr
0.8565 0.1435 0.9300 Cr
0.4011 0.5989 0.2500 Cr
0.1435 0.8565 0.0700 Cr
0.8565 0.1435 0.5700 Cr
0.1435 0.8565 0.4300 Cr
0.2460 0.7540 0.7500 C
0.7540 0.2460 0.2500 C
0.5000 0.5000 0.0000 C
0.5000 0.5000 0.5000 C
```


# 1
NbCrGe: optimized geometry, PBE.

Lattice parameters (Å, degrees): 5.1864 5.1864 7.8105 90.00 90.00 121.91
Closest atoms and distances in Å follow each position.
Fractional coordinates of all 12 atoms:
Nb (0.3349, 0.6651, 0.8198)  4 Nb 2.81-3.15, 5 Ge 2.88-2.91, 7 Cr 2.94-3.02
Nb (0.3349, 0.6651, 0.1802)  4 Nb 2.81-3.15, 5 Ge 2.88-2.91, 7 Cr 2.94-3.02
Nb (0.6643, 0.3357, 0.6936)  7 Ge 2.79-3.02, 4 Cr 2.81-2.94, 3 Nb 3.02-3.11
Nb (0.6643, 0.3357, 0.3064)  7 Ge 2.79-3.02, 4 Cr 2.81-2.94, 3 Nb 3.02-3.11
Ge (0.8234, 0.1766, 0.0000)  6 Cr 2.53-2.65, 2 Nb 2.79
Ge (0.1700, 0.8300, 0.5000)  2 Cr 2.49, 4 Ge 2.55-2.64
Ge (0.6615, 0.8296, 0.5000)  4 Ge 2.47-2.64, 2 Cr 2.51
Ge (0.1704, 0.3385, 0.5000)  4 Ge 2.47-2.64, 2 Cr 2.51
Cr (0.0064, 0.9936, 0.7560)  2 Cr 2.37, 4 Ge 2.49-2.53
Cr (0.0064, 0.9936, 0.2440)  2 Cr 2.37, 4 Ge 2.49-2.53
Cr (0.3279, 0.1648, 0.0000)  4 Cr 2.37-2.56, 2 Ge 2.54-2.65
Cr (0.8352, 0.6721, 0.0000)  4 Cr 2.37-2.56, 2 Ge 2.54-2.65

Calculated values
└──

# Wanted
What is needed: repeat the whole of the block further above unchanged.

# Result
Below is an optimized crystal structure of Cr3C2, with properties calculated at the PBE level.

Results
calculated formation energy = -0.069 eV per atom
energy above the most stable polymorph in this dataset = 0.152 eV/f.u.
crystal system = orthorhombic
calculated total energy = -47.8 eV/f.u.

```
Cr3C2
1.0
1.4078 -4.6115 0.0000
1.4078 4.6115 0.0000
0.0000 0.0000 6.9167
Cr C
6 4
Direct
0.5989 0.4011 0.7500 Cr
0.8565 0.1435 0.9300 Cr
0.4011 0.5989 0.2500 Cr
0.1435 0.8565 0.0700 Cr
0.8565 0.1435 0.5700 Cr
0.1435 0.8565 0.4300 Cr
0.2460 0.7540 0.7500 C
0.7540 0.2460 0.2500 C
0.5000 0.5000 0.0000 C
0.5000 0.5000 0.5000 C
```


# 1
NbCrGe: optimized geometry, PBE.

Lattice parameters (Å, degrees): 5.1864 5.1864 7.8105 90.00 90.00 121.91
Closest atoms and distances in Å follow each position.
Fractional coordinates of all 12 atoms:
Nb (0.3349, 0.6651, 0.8198)  4 Nb 2.81-3.15, 5 Ge 2.88-2.91, 7 Cr 2.94-3.02
Nb (0.3349, 0.6651, 0.1802)  4 Nb 2.81-3.15, 5 Ge 2.88-2.91, 7 Cr 2.94-3.02
Nb (0.6643, 0.3357, 0.6936)  7 Ge 2.79-3.02, 4 Cr 2.81-2.94, 3 Nb 3.02-3.11
Nb (0.6643, 0.3357, 0.3064)  7 Ge 2.79-3.02, 4 Cr 2.81-2.94, 3 Nb 3.02-3.11
Ge (0.8234, 0.1766, 0.0000)  6 Cr 2.53-2.65, 2 Nb 2.79
Ge (0.1700, 0.8300, 0.5000)  2 Cr 2.49, 4 Ge 2.55-2.64
Ge (0.6615, 0.8296, 0.5000)  4 Ge 2.47-2.64, 2 Cr 2.51
Ge (0.1704, 0.3385, 0.5000)  4 Ge 2.47-2.64, 2 Cr 2.51
Cr (0.0064, 0.9936, 0.7560)  2 Cr 2.37, 4 Ge 2.49-2.53
Cr (0.0064, 0.9936, 0.2440)  2 Cr 2.37, 4 Ge 2.49-2.53
Cr (0.3279, 0.1648, 0.0000)  4 Cr 2.37-2.56, 2 Ge 2.54-2.65
Cr (0.8352, 0.6721, 0.0000)  4 Cr 2.37-2.56, 2 Ge 2.54-2.65

Calculated values